Wanted:
The reader should find the line below that holds "0.96318 -4.10868", then restate that line and all lines after it there.

Input:
┌──
Record 1
94
Properties=species:S:1:pos:R:3 method="wB97M-V/def2-TZVPD" e_homo_ev=-7.77 gap_ev=7.4862 spin_multiplicity=1
C -2.78690 -4.05569 -0.72751
C -2.72013 -2.61930 -1.06355
Br -3.95020 -2.05014 -2.39256
C -1.83437 -1.78349 -0.50490
Br -0.64327 -2.60571 0.74557
C -1.66771 -0.21599 -0.68794
N -2.84894 0.39492 -0.12315
C -1.53941 0.22460 -2.15692
C -0.16942 0.80172 -2.51576
C -0.03071 2.26686 -2.09295
C 1.03858 3.04522 -2.85179
C 1.62139 4.10466 -1.97742
F 2.34021 4.97272 -2.68080
F 0.72380 4.77866 -1.27132
F 2.48927 3.55747 -1.08097
P -0.09373 0.80836 -4.42361
N -1.29557 1.95407 -4.71979
O -0.73548 -0.63199 -4.89883
N 0.88284 -0.01344 -1.91004
C 0.97171 -1.37673 -2.43034
C 2.10471 -2.18092 -1.84541
O 2.20669 -2.43196 -0.66119
N 3.04297 -2.63292 -2.80350
C 4.10470 -3.39235 -2.14198
C 2.30622 -3.59133 -3.66316
C 0.72012 0.11047 -0.53173
N 1.80120 0.24441 0.18014
C 3.17084 0.35744 -0.27814
C 4.05001 -0.36953 0.68193
O 3.94922 0.33533 1.93118
Si 3.81150 -0.64992 3.26440
C 5.23908 -1.86327 3.41540
C 3.74895 0.37157 4.83259
C 2.23653 -1.68474 3.22622
N -0.46059 0.15731 0.12614
C -0.64873 1.35192 0.97561
C -1.24443 1.03350 2.35338
C -2.45870 1.90840 2.64405
C -2.62362 2.16262 4.13320
S -3.46072 3.72656 4.49059
C -4.91705 3.18931 5.24085
N -6.10645 3.43326 4.91010
N -6.90662 2.77872 5.83720
C -6.12925 2.20754 6.63899
O -4.82804 2.41737 6.34043
H -1.85139 -4.53170 -0.96149
H -3.07162 -4.21378 0.29867
H -3.52352 -4.52158 -1.35556
H -3.48851 0.66795 -0.84863
H -3.32716 -0.25884 0.47371
H -2.30282 0.91648 -2.47525
H -1.68692 -0.65184 -2.75083
H -0.97743 2.73594 -2.27251
H 0.21712 2.38728 -1.04586
H 0.63587 3.54680 -3.71155
H 1.86945 2.42240 -3.12083
H -1.46781 1.95397 -5.71791
H -2.19808 1.72374 -4.28725
H -1.68474 -0.69727 -4.72004
H 1.15210 -1.35323 -3.48432
H 0.07111 -1.96864 -2.30134
H 4.70132 -2.76875 -1.50119
H 3.73083 -4.26898 -1.63624
H 4.75233 -3.74303 -2.92787
H 2.96953 -4.04928 -4.37598
H 1.87006 -4.38718 -3.06967
H 1.50495 -3.12034 -4.20962
H 1.69227 0.30546 1.17864
H 3.44760 1.39884 -0.19878
H 3.32299 0.07925 -1.30245
H 3.72621 -1.39203 0.81880
H 5.07075 -0.28735 0.34037
H 5.29715 -2.13901 4.45511
H 6.16360 -1.37624 3.14663
H 5.08156 -2.76017 2.83954
H 2.71475 0.59255 5.04013
H 4.11127 -0.20396 5.66730
H 4.29417 1.29166 4.71978
H 1.41940 -1.21747 2.69460
H 1.90561 -1.83651 4.24279
H 2.39649 -2.65658 2.78764
H 0.29693 1.82222 1.17551
H -1.22386 2.11058 0.48745
H -1.51625 -0.00619 2.41259
H -0.52542 1.30425 3.10558
H -2.36879 2.86667 2.15315
H -3.35815 1.46538 2.26184
H -1.66362 2.21140 4.61511
H -3.15922 1.34965 4.59888
H -6.41517 1.62723 7.48068
N -5.28462 0.27604 -4.57548
O -6.40864 0.69397 -4.78729
O -5.08488 -0.92964 -4.27201
O -4.28729 1.04432 -4.61729



Record 2
89
Properties=species:S:1:pos:R:3 method="wB97M-V/def2-TZVPD" total_charge=+1 de_lowest_ev=0.179 e_homo_ev=-12.35 gap_ev=8.1419 spin_multiplicity=1
C 1.12165 -5.42403 0.39870
C 0.96318 -4.10868 1.13193
N 1.55539 -3.87308 2.22556
C 0.05777 -3.04080 0.55657
C -0.81127 -2.39113 1.62654
C -0.83458 -0.86297 1.72860
N -1.91133 -0.73058 2.75587
C -2.71004 -1.72532 2.76893
C -2.31379 -2.78438 1.77602
C -3.23396 -2.77158 0.57475
Br -2.78537 -1.69673 -0.91163
C -4.35496 -3.49081 0.58513
C -4.76976 -4.37096 1.73266
Br -5.55369 -3.48552 -0.85897
H 0.53854 -6.18453 0.91990
H 0.80678 -5.33942 -0.63855
H 2.16361 -5.73367 0.45228
H 2.12848 -4.66380 2.51369
H -0.49690 -3.40380 -0.30546
H 0.72990 -2.26436 0.17307
H -0.40502 -2.69272 2.59680
H 0.11142 -0.44169 2.05014
H -1.27244 -0.41207 0.84256
H -1.98303 0.08793 3.35703
H -3.56361 -1.77404 3.43426
H -2.32112 -3.77196 2.23983
H -4.80302 -3.82088 2.67398
H -4.07554 -5.20665 1.85152
H -5.75316 -4.79721 1.56295
C -2.09111 5.16395 4.33982
O -2.49756 4.78064 5.65774
C -2.31570 3.50262 5.94812
O -1.84464 2.66939 5.20640
O -2.72901 3.29027 7.19092
C -2.58675 1.94920 7.66119
H -2.29253 6.22589 4.24570
H -1.02822 4.98871 4.19844
H -2.66325 4.62568 3.58654
H -1.54042 1.64977 7.65850
H -3.17590 1.26517 7.05216
└──

Written answer:
C 0.96318 -4.10868 1.13193
N 1.55539 -3.87308 2.22556
C 0.05777 -3.04080 0.55657
C -0.81127 -2.39113 1.62654
C -0.83458 -0.86297 1.72860
N -1.91133 -0.73058 2.75587
C -2.71004 -1.72532 2.76893
C -2.31379 -2.78438 1.77602
C -3.23396 -2.77158 0.57475
Br -2.78537 -1.69673 -0.91163
C -4.35496 -3.49081 0.58513
C -4.76976 -4.37096 1.73266
Br -5.55369 -3.48552 -0.85897
H 0.53854 -6.18453 0.91990
H 0.80678 -5.33942 -0.63855
H 2.16361 -5.73367 0.45228
H 2.12848 -4.66380 2.51369
H -0.49690 -3.40380 -0.30546
H 0.72990 -2.26436 0.17307
H -0.40502 -2.69272 2.59680
H 0.11142 -0.44169 2.05014
H -1.27244 -0.41207 0.84256
H -1.98303 0.08793 3.35703
H -3.56361 -1.77404 3.43426
H -2.32112 -3.77196 2.23983
H -4.80302 -3.82088 2.67398
H -4.07554 -5.20665 1.85152
H -5.75316 -4.79721 1.56295
C -2.09111 5.16395 4.33982
O -2.49756 4.78064 5.65774
C -2.31570 3.50262 5.94812
O -1.84464 2.66939 5.20640
O -2.72901 3.29027 7.19092
C -2.58675 1.94920 7.66119
H -2.29253 6.22589 4.24570
H -1.02822 4.98871 4.19844
H -2.66325 4.62568 3.58654
H -1.54042 1.64977 7.65850
H -3.17590 1.26517 7.05216